Asking For Help

by Brendan Smith
**Misplaced data records:**
-- begin --
Model one:
A cluster of 10 separate species, C13H47N19O10 in total. Source: the Open Molecules 2025 dataset; level of theory: ωB97M-V with the def2-TZVPD basis set.

Atoms and positions in Å:
C: 0.14824 -2.40006 8.10561
O: 1.30736 -2.93188 7.48800
C: 1.17571 -3.17001 6.12333
C: 2.49702 -3.71189 5.52885
C: 3.59259 -2.73780 5.37122
N: 2.27696 -4.23845 4.22674
H: -0.60771 -3.18337 8.05024
H: -0.20876 -1.48910 7.62518
H: 0.33724 -2.07419 9.12844
H: 0.31479 -3.82504 5.98972
H: 0.83678 -2.28459 5.58550
H: 2.82424 -4.50157 6.20519
H: 3.61924 -2.04717 4.52836
H: 4.54010 -3.23130 5.15491
H: 3.92468 -2.14970 6.22677
H: 3.08526 -4.76389 3.92565
H: 1.42011 -4.77246 4.25381
N: 0.97234 6.05002 -8.19400
C: 0.04640 5.19708 -8.53417
N: 0.37220 4.05423 -7.95968
O: -0.86523 5.37471 -9.27041
H: 1.71175 5.79676 -7.55427
H: 0.88480 7.01167 -8.49006
H: -0.22700 3.32099 -8.31099
H: 1.24345 3.89871 -7.47302
N: 0.56140 -0.28315 -0.05874
C: 1.30196 0.18623 -1.00935
N: 0.88233 1.25334 -1.53677
O: 2.39237 -0.28287 -1.28316
H: 0.96787 -1.03596 0.47806
H: -0.33981 0.09697 0.19312
H: 1.60129 1.75433 -2.03896
H: 0.00263 1.58948 -1.17174
N: -3.55620 -1.12687 -3.56569
C: -3.38546 -2.33621 -4.13022
N: -4.05665 -2.37229 -5.26705
O: -2.63885 -3.16906 -3.71743
H: -2.79773 -0.90466 -2.93684
H: -4.23171 -0.42916 -3.84319
H: -4.18482 -3.21821 -5.80379
H: -4.72556 -1.62494 -5.38587
N: -2.98934 6.36109 0.23897
C: -3.57966 5.38681 -0.34077
N: -4.49951 5.77841 -1.13443
O: -3.17991 4.26788 -0.19507
H: -3.43919 7.24638 0.05460
H: -2.20884 6.21729 0.86366
H: -4.56231 6.77799 -1.26480
H: -4.70777 5.09857 -1.85175
N: 0.53066 2.86876 4.76518
C: 0.70996 4.09453 5.16399
N: 1.46588 4.16772 6.27374
O: 0.39288 5.07316 4.59576
H: 0.90317 2.08154 5.27668
H: -0.05585 2.66636 3.96822
H: 1.31604 3.43723 6.95494
H: 1.58358 5.10441 6.63269
N: -6.16583 0.17845 3.53929
C: -5.51204 -0.42391 2.57871
N: -6.22615 -0.72867 1.53355
O: -4.31984 -0.80892 2.72568
H: -5.59504 0.50300 4.30672
H: -7.04740 0.56676 3.23571
H: -7.13678 -0.30644 1.42134
H: -5.91109 -1.23409 0.71783
N: 3.62253 -2.42273 -5.72535
C: 4.38414 -3.51852 -5.78069
N: 4.92986 -3.71242 -4.58340
O: 4.43363 -4.19448 -6.80163
H: 3.53886 -1.88592 -6.57678
H: 3.53130 -2.04371 -4.79362
H: 5.68183 -4.33879 -4.33380
H: 4.96866 -2.84499 -4.06749
N: -3.74274 -5.91117 3.08761
C: -3.05595 -6.28150 2.03796
N: -2.76735 -5.29486 1.27230
O: -2.82641 -7.41430 1.64226
H: -4.06150 -6.72990 3.58578
H: -3.81530 -4.92786 3.30656
H: -2.86339 -4.37072 1.66835
H: -2.55013 -5.50672 0.30896
N: 6.35892 3.18512 -2.95477
C: 5.60484 3.08254 -3.94082
N: 5.92859 2.13458 -4.72564
O: 4.64279 3.76922 -4.20804
H: 7.03344 2.44200 -3.06831
H: 6.07763 3.56298 -2.06134
H: 5.31004 1.79167 -5.44669
H: 6.85406 1.76764 -4.55545

Computed properties:
- Multiplicity: 1
- HOMO level: -9.24 eV
-- stop --
Weirs Times Editor
Things are really starting to heat up this campaign season.
Soon I will know exactly who my opponents will be in the race for governor of New Hampshire.
In case you don’t know, I am running again for the office as the candidate representing the Flatlander Party. There aren’t a lot of other candidates from the party running for other offices. In fact, there are none.
I am it.
Of course, you won’t see my name on the ballot. The powers that be are doing their best to keep my name off of it since I am not associated with any of the more well-known political parties. They have been working hard behind the scenes to discredit my candidacy.(Getting only six people to sign my nomination papers to be on the ballot hasn’t helped either.)
In order to make it seem like anyone has a chance to be elected to office, even if they can’t get on the ballot, they include blank spaces where you need to actually write in a name instead of easily selecting one that is already printed on it.
The powers that be aren’t afraid of this option. They realize that most people don’t want to spend valuable time in the voting booth writing in someone’s name. They’ve already spent way too much time trying to figuring out the meaning of these amendments on the ballot that they didn’t expect to see.
“What the heck is this? Let me see, if I vote “yes” does it really mean no? Who has the time to figure all this out? Forget about writing in someone’s name, I’ve been here long enough already. I need to check my social media post to see how many people liked my pictures of kittens fighting over a ball of yarn after I throw in my two cents into a political argument that won’t change anyone’s mind.”
This is where I come in.
I can only get elected if people write my name on the designated “write in” line. It will take a lot of time and effort, but I think I can persuade folks to do it.
# Next to the piece, the page also holds records of molecules
Run i
The following is a DFT calculation (ωB97M-V with the def2-TZVPD basis set) of the molecule C6H7N.

## Properties
SMILES: CC1=NC=C2C[C@H]21
E_HOMO in eV: -8.5
Spin multiplicity: 1
HOMO-LUMO gap in Eh: 0.321

```
14
C6H7N | OMol25 | ωB97M-V with the def2-TZVPD basis set
C 1.75 -0.55 -0.10
C 0.35 -0.66 -0.08
N -0.28 -1.80 0.14
C -1.65 -1.49 -0.01
C -1.87 -0.21 -0.43
C -1.66 1.02 0.39
C -0.48 0.45 -0.47
H 2.29 -1.30 0.55
H 1.99 0.51 -0.14
H 2.12 -0.95 -1.03
H -2.32 -2.12 0.41
H -1.71 1.01 1.43
H -2.11 2.01 -0.05
H -0.16 1.25 -1.20
```

***

Run ii
The following is a DFT calculation (ωB97M-V with the def2-TZVPD basis set) of the molecule C6H7N.

## Properties
SMILES: Cc1ccccn1
E_HOMO in eV: -8.8
Spin multiplicity: 1
HOMO-LUMO gap in Eh: 0.348

```
14
C6H7N | OMol25 | ωB97M-V with the def2-TZVPD basis set
C 2.29 -0.27 0.15
C 0.67 -0.06 -0.11
C 0.03 1.23 -0.23
C -1.33 1.07 -0.05
C -1.96 -0.23 0.31
C -1.17 -1.28 -0.01
N 0.08 -1.27 -0.38
H 2.34 -1.27 0.21
H 2.60 0.46 -0.55
H 2.64 0.29 1.13
H 0.82 1.94 -0.23
H -2.05 1.89 -0.19
H -3.01 -0.37 0.18
H -1.96 -2.12 -0.21
```

***

According to the calculations, the structures order from most to least stable as run ii, run i.

***

Run i
The following is a DFT calculation (ωB97M-V with the def2-TZVPD basis set) of a cluster of 2 separate species, C6H7N in total.

## Properties
SMILES: N#CC1C=CC=C1.[H][H]
E_HOMO in eV: -9.3
Spin multiplicity: 1
HOMO-LUMO gap in Eh: 0.366

```
14
C6H7N | OMol25 | ωB97M-V with the def2-TZVPD basis set
N -0.18 3.14 -0.17
C -0.08 2.07 0.24
C 0.07 0.73 0.83
C 1.40 0.05 0.55
C 1.16 -1.18 0.08
C -0.29 -1.40 -0.02
C -0.94 -0.31 0.39
H -0.03 0.84 1.92
H 2.35 0.49 0.83
H 1.91 -1.93 -0.15
H -0.73 -2.33 -0.37
H -2.01 -0.15 0.46
H -0.95 0.08 -2.30
H -1.67 -0.11 -2.28
```

***

Run ii
The following is a DFT calculation (ωB97M-V with the def2-TZVPD basis set) of a cluster of 2 separate species, C6H7N in total.

## Properties
E_HOMO (alpha / beta) in eV: -8.0 / -8.4
Spin multiplicity: 1
HOMO-LUMO gap (alpha / beta) in Eh: 0.256 / 0.282

```
14
C6H7N | OMol25 | ωB97M-V with the def2-TZVPD basis set
C 0.94 -0.87 0.76
C -0.99 0.91 -0.63
C 0.30 -1.48 1.68
C 1.76 -1.02 -0.61
C -2.08 1.92 -0.99
C 1.29 0.26 0.02
N -2.16 0.55 -0.35
H -0.55 -1.01 2.29
H 0.41 -2.52 2.01
H 2.83 -1.00 -0.68
H 1.14 -1.33 -1.42
H -2.53 2.67 -0.39
H -2.30 1.85 -2.01
H 1.95 1.07 0.32
```

***

According to the calculations, the structures order from most to least stable as run i, run ii.

***

Run i
The following is a DFT calculation (ωB97M-V with the def2-TZVPD basis set) of a cluster of 2 separate species, C4H13NO3 in total.

## Properties
SMILES: C[C@H](CO)NCO.O
E_HOMO in eV: -9.3
Spin multiplicity: 1
HOMO-LUMO gap in Eh: 0.362

```
21
C4H13NO3 | OMol25 | ωB97M-V with the def2-TZVPD basis set
C -1.24 0.85 0.61
C -0.95 -0.58 0.12
C -0.98 -1.55 1.29
O -2.33 -1.93 1.61
N 0.30 -0.70 -0.64
C 0.28 -0.06 -1.95
O 1.29 0.92 -2.08
H -0.88 1.47 -0.20
H -2.27 1.17 0.78
H -0.64 1.22 1.44
H -1.69 -0.81 -0.64
H -0.56 -1.16 2.21
But even if I am successful there are still a lot of complications.
After all, I have done some research and found out that I am not the only Brendan Smith living in New Hampshire. In fact, there are more than you might imagine. So, if you write “Brendan Smith” in the write-in line for governor, who is to say that one of the other Brendan Smith’s might wake up the morning after election day and claim that victory for himself? (Or herself if people write “Brenda” by mistake.)
You are probably thinking to yourself right now “Wow, I never thought of that,” or maybe “I need to check my Facebook page to see if anyone liked the selfie I took eating lunch.”
So, I need to find a way to make myself stand out from the small, yet significant crowd, of Brendan Smiths.
The only way to do that is with a nickname. I need to come up with something in parentheses between “Brendan” and “Smith” that will distinguish myself from the other Brendan Smiths and let the ballot counters know it is me and not someone else with the same name who might not even want the job in the first place.
This will take some careful consideration and I am looking to you for help on this.
I can’t just go with the old standards like “Sparky” or “Chip” or even the obvious “Smitty” that so many people will simply assume I like to be called simply because my last name is Smith. (Plus. I’m sure at least another Brendan Smith in New Hampshire is known as “Smitty” whether they like it or not.)
I need something unique that will be mine and mine alone.
I also want to be careful of using any nicknames like “Lucky” or “Bugsy” or even “Ice Pick” because, even though they sound pretty cool, I think some folks might get the wrong idea. (Though, I could imagine leaning back in the governor’s chair, slowly scratching my cheek as legislators came to visit and telling them they will support my ideas because I’ll make them an offer they can’t refuse.)
So, I’m asking you to help me come up with a cool nickname I can use that might not just help distinguish me from the rest of the Brendan Smith’s in New Hampshire, but also cool enough that people might just get a kick out of writing it on the ballot. You never know, we might even get folks who never vote who will want to go to the polls just because it will be so much fun to write in my nickname.
I am going to need to come up with this in the next couple of weeks so I can get out on the campaign trail and promote it.
What do you think a good nickname for my campaign would be? Send your ideas to me at, If I use yours, you might win a prize, but I can’t guarantee that.
Brendan is the author of “The Flatlander Chronicles”, “Best Of A F.O.O.L. In New Hampshire” and “I Only Did It For The Socks Stories & Thoughts On Aging.” All three are available at